Don’t Force People to Work on Thanksgiving. Shop the Sales Later.

Katrina Trinko /

No one needs to be able to buy a big-screen TV on Thanksgiving.

That once seemed like a truth universally agreed upon. Sure, we kept the grocery stores open for part of the day for quick runs for forgotten ingredients, and we kept the airports open so people could fly home to their families. But not much else.

Talk about a bygone era. In recent years, the number of retail chains, including Target, Walmart, Macy’s, Best Buy and Toys R Us, open on Thanksgiving has grown rapidly.

There has been some push back from other retailers. Home Depot, Barnes & Noble, Hobby Lobby and Costco won’t be open. “We believe (our employees) deserve the opportunity to spend Thanksgiving Day with their family,” a Costco executive explained to The New York Times.

That’s something all employees deserve, but particularly retail employees, many of whom work for minimum wage or slightly above. The hours you work in retail are unpredictable, and if your friends and family also work retail, it’s hard to find a time when no one is at work. (Remember: Virtually no one gets weekends off in retail.) Thanksgiving used to be one of the few holidays retail workers could count on.

_Calculated molecules, kept here for reference_
+++
A) The following is a quantum chemistry calculation of an isolated molecule of C2H2N4, from OMol25.

Structure (XYZ):
```
8
Properties=species:S:1:pos:R:3
C 0.814 0.232 0.401
N 0.774 1.017 -0.660
N -0.271 0.938 -1.469
N -1.116 -0.052 -1.362
N -1.164 -0.797 -0.263
C -0.289 -0.562 0.699
H 1.732 0.227 0.981
H -0.480 -1.003 1.674
```

The calculation puts the HOMO-LUMO gap at 9.7091 eV. The value obtained for the lowest unoccupied orbital energy is -0.48 eV. As for the total charge: 0. The structure (SMILES) is c1cnnnn1.

B) The following is a quantum chemistry calculation of an isolated molecule of C2H2N4, from OMol25.

Structure (XYZ):
```
8
Properties=species:S:1:pos:R:3
C 0.023 0.479 -0.156
N -0.797 -0.651 -0.036
N -0.623 -1.586 -0.792
N -0.476 -2.481 -1.458
N 1.403 0.427 0.580
C 0.435 1.071 1.053
H -0.103 1.053 -1.068
H 0.139 1.688 1.877
```

The calculation puts the HOMO-LUMO gap at 10.8070 eV. The value obtained for the lowest unoccupied orbital energy is 1.06 eV. As for the total charge: 0.

C) The following is a quantum chemistry calculation of an isolated molecule of C2H2N4, from OMol25.

Structure (XYZ):
```
8
Properties=species:S:1:pos:R:3
C 0.106 -0.672 -0.415
C -0.821 0.163 -0.458
H 0.205 -1.576 -1.118
H -1.998 0.060 -0.741
N -0.458 1.310 0.162
N 0.549 1.298 0.999
N 1.257 0.216 1.180
N 1.160 -0.801 0.390
```

The calculation puts the HOMO-LUMO gap at 9.5774 eV. The value obtained for the lowest unoccupied orbital energy is -0.73 eV. As for the total charge: 0. The structure (SMILES) is c1cnnnn1.

Result of the stability comparison: C) is the least stable of them.

A) The following is a quantum chemistry calculation of a cluster of 2 separate species, C4H9N4 in total, from OMol25.

Structure (XYZ):
```
17
Properties=species:S:1:pos:R:3
C 2.422 -2.202 -0.772
C -1.564 1.939 1.129
C 0.053 -0.120 0.770
C -1.134 0.864 0.279
N -1.454 0.049 -1.923
N -1.528 0.405 -0.823
N 1.565 -1.418 -1.173
N 1.294 -0.034 0.128
H 2.790 -2.867 -1.564
H -0.739 2.524 1.623
H -2.019 2.652 0.423
H -2.441 1.673 1.765
H 0.252 0.214 1.895
H -0.225 -1.207 0.641
H 2.973 -2.447 0.132
H -1.956 -0.745 -2.190
H 1.711 0.721 -0.338
```

The calculation puts the HOMO-LUMO gap at 7.9305 eV. The value obtained for the lowest unoccupied orbital energy is -4.96 eV. As for the total charge: +1.

B) The following is a quantum chemistry calculation of a cluster of 2 separate species, C4H9N4 in total, from OMol25.

Structure (XYZ):
```
17
Properties=species:S:1:pos:R:3
C 2.781 0.960 -0.106
C 1.438 1.198 -0.535
C -1.741 -1.741 -0.294
C -1.313 0.602 0.172
N 2.687 0.363 1.091
N 1.434 0.251 1.374
N 0.683 0.668 0.416
N -1.679 -0.341 -0.664
H 3.587 1.252 -0.677
H 1.242 1.706 -1.465
H -2.391 -1.931 0.455
H -2.254 -2.227 -1.016
H -0.804 -2.256 -0.276
H -1.478 1.541 -0.184
H -1.546 0.449 1.291
H 1.192 -0.494 2.014
H -1.837 0.000 -1.595
```

The calculation puts the HOMO-LUMO gap at 11.6269 eV. The value obtained for the lowest unoccupied orbital energy is -3.11 eV. As for the total charge: +1.
+++

Furthermore, it’s not clear that employees are getting to “opt in” to working Thanksgiving — which admittedly some might want to, given that many retailers are paying time-and-a-half. Take the example of Kmart, which will open at 6 a.m. on Thanksgiving. Jillian Fisher, the daughter of a Kmart employee, is behind a petition on “asking Kmart to … (allow) employees to request Thanksgiving Day off and to rely only on volunteer(s).”

According to Fisher, one Kmart employee reported, “Our manager stated at a staff meeting: ‘Everyone must work Thanksgiving and Black Friday. No time off.'” Kmart told liberal blog ThinkProgress, which reported on Fisher’s efforts, “Our stores do their very best to staff with seasonal associates and those who volunteer to work holidays.”

In other words, even Kmart isn’t willing to say that all employees are voluntarily working Thanksgiving.

But let’s forget the retailers. Consumers could fight back by not shopping on Thanksgiving. And that’s what we should do — if we care about our fellow Americans and preserving our communities.

After all, the holidays are a time to remember and take care of each other. Sometimes being a good community member means helping others financially or taking time to pitch in with a difficult task. But sometimes it means other sacrifices, including our own convenience.

Sure, some of us might want to buy that big-screen TV at 50 percent off on Thanksgiving afternoon. But let’s help a brother (and a sister) out. Wait until Black Friday.

Originally published in USA Today.